Next, print the notes below from the line with "abc: 7.035" to the end without additions.

~~~
No. 1
Computed, not measured: AcTl2Ni after structural relaxation at the PBE level of DFT.

abc: 3.606 3.606 7.757
angles: 90.00 90.00 90.00
Sites, in units of the cell vectors:
Ac 0.000 0.000 0.000
Tl 0.500 0.500 0.309
Tl 0.500 0.500 0.691
Ni 0.000 0.000 0.500

Values from the calculation:
- space-group type = P4/mmm (123)
- total DFT energy (no corrections) (eV/atom) = -3.61
- DFT formation energy (kJ per mole of atoms) = 4.7

---

No. 2
Computed, not measured: AcTl3Ni after structural relaxation at the PBE level of DFT.

abc: 5.175 5.175 5.175
angles: 90.00 90.00 90.00
Sites, in units of the cell vectors:
Ac 0.000 0.000 0.000
Tl 0.000 0.500 0.500
Tl 0.500 0.000 0.500
Tl 0.500 0.500 0.000
Ni 0.500 0.500 0.500

Values from the calculation:
- space-group type = Pm-3m (221)
- total DFT energy (no corrections) (eV/atom) = -3.46
- DFT formation energy (kJ per mole of atoms) = -6.1

---

No. 3
Computed, not measured: Ac6TlNi after structural relaxation at the PBE level of DFT.

abc: 8.442 11.235 7.024
angles: 90.00 103.71 90.00
Sites, in units of the cell vectors:
Ac 0.127 0.183 0.281
Ac 0.127 0.817 0.281
Ac 0.222 0.500 0.151
Ac 0.278 0.000 0.849
Ac 0.373 0.317 0.719
Ac 0.373 0.683 0.719
Ac 0.627 0.317 0.281
Ac 0.627 0.683 0.281
Ac 0.722 0.000 0.151
Ac 0.778 0.500 0.849
Ac 0.873 0.183 0.719
Ac 0.873 0.817 0.719
Tl 0.000 0.500 0.500
Tl 0.500 0.000 0.500
Ni 0.000 0.000 0.000
Ni 0.500 0.500 0.000

Values from the calculation:
- space-group type = C2/m (12)
- total DFT energy (no corrections) (eV/atom) = -4.13
- DFT formation energy (kJ per mole of atoms) = -3.3

---

No. 4
Computed, not measured: AcYTlNi after structural relaxation at the PBE level of DFT.

abc: 7.604 7.604 7.604
angles: 90.00 90.00 90.00
Sites, in units of the cell vectors:
Ac 0.000 0.000 0.000
Ac 0.000 0.500 0.500
Ac 0.500 0.000 0.500
Ac 0.500 0.500 0.000
Y 0.000 0.000 0.500
Y 0.000 0.500 0.000
Y 0.500 0.000 0.000
Y 0.500 0.500 0.500
Tl 0.250 0.250 0.250
Tl 0.250 0.750 0.750
Tl 0.750 0.250 0.750
Tl 0.750 0.750 0.250
Ni 0.250 0.250 0.750
Ni 0.250 0.750 0.250
Ni 0.750 0.250 0.250
Ni 0.750 0.750 0.750

Values from the calculation:
- space-group type = F-43m (216)
- total DFT energy (no corrections) (eV/atom) = -4.82
- DFT formation energy (kJ per mole of atoms) = -13.1

---

No. 5
Computed, not measured: AcTmNi2 after structural relaxation at the PBE level of DFT.

abc: 7.035 7.035 7.035
angles: 90.00 90.00 90.00
Sites, in units of the cell vectors:
Ac 0.000 0.000 0.000
Ac 0.000 0.500 0.500
Ac 0.500 0.000 0.500
Ac 0.500 0.500 0.000
Tm 0.000 0.000 0.500
Tm 0.000 0.500 0.000
Tm 0.500 0.000 0.000
Tm 0.500 0.500 0.500
Ni 0.250 0.250 0.250
Ni 0.250 0.250 0.750
Ni 0.250 0.750 0.250
Ni 0.250 0.750 0.750
Ni 0.750 0.250 0.250
Ni 0.750 0.250 0.750
Ni 0.750 0.750 0.250
Ni 0.750 0.750 0.750

Values from the calculation:
- space-group type = Fm-3m (225)
- total DFT energy (no corrections) (eV/atom) = -5.24
- DFT formation energy (kJ per mole of atoms) = -19.6

---

No. 6
Computed, not measured: AcTmNi10 after structural relaxation at the PBE level of DFT.

abc: 3.972 4.958 8.632
angles: 90.00 90.00 90.00
Sites, in units of the cell vectors:
Ac 0.000 0.000 0.000
Tm 0.000 0.500 0.500
Ni 0.000 0.000 0.343
Ni 0.000 0.000 0.657
Ni 0.000 0.500 0.180
Ni 0.000 0.500 0.820
Ni 0.500 0.000 0.500
Ni 0.500 0.255 0.261
Ni 0.500 0.255 0.739
Ni 0.500 0.500 0.000
Ni 0.500 0.745 0.261
Ni 0.500 0.745 0.739

Values from the calculation:
- space-group type = Pmmm (47)
- total DFT energy (no corrections) (eV/atom) = -5.80
- DFT formation energy (kJ per mole of atoms) = -26.0

---

No. 7
Computed, not measured: AcTmNi after structural relaxation at the PBE level of DFT.

abc: 3.561 3.561 12.777
angles: 90.00 90.00 90.00
Sites, in units of the cell vectors:
Ac 0.000 0.000 0.000
Ac 0.500 0.500 0.500
Tm 0.000 0.000 0.263
Tm 0.500 0.500 0.763
Ni 0.000 0.000 0.658
Ni 0.500 0.500 0.158

Values from the calculation:
- space-group type = I4mm (107)
- total DFT energy (no corrections) (eV/atom) = -4.93
~~~

abc: 7.035 7.035 7.035
angles: 90.00 90.00 90.00
Sites, in units of the cell vectors:
Ac 0.000 0.000 0.000
Ac 0.000 0.500 0.500
Ac 0.500 0.000 0.500
Ac 0.500 0.500 0.000
Tm 0.000 0.000 0.500
Tm 0.000 0.500 0.000
Tm 0.500 0.000 0.000
Tm 0.500 0.500 0.500
Ni 0.250 0.250 0.250
Ni 0.250 0.250 0.750
Ni 0.250 0.750 0.250
Ni 0.250 0.750 0.750
Ni 0.750 0.250 0.250
Ni 0.750 0.250 0.750
Ni 0.750 0.750 0.250
Ni 0.750 0.750 0.750

Values from the calculation:
- space-group type = Fm-3m (225)
- total DFT energy (no corrections) (eV/atom) = -5.24
- DFT formation energy (kJ per mole of atoms) = -19.6

---

No. 6
Computed, not measured: AcTmNi10 after structural relaxation at the PBE level of DFT.

abc: 3.972 4.958 8.632
angles: 90.00 90.00 90.00
Sites, in units of the cell vectors:
Ac 0.000 0.000 0.000
Tm 0.000 0.500 0.500
Ni 0.000 0.000 0.343
Ni 0.000 0.000 0.657
Ni 0.000 0.500 0.180
Ni 0.000 0.500 0.820
Ni 0.500 0.000 0.500
Ni 0.500 0.255 0.261
Ni 0.500 0.255 0.739
Ni 0.500 0.500 0.000
Ni 0.500 0.745 0.261
Ni 0.500 0.745 0.739

Values from the calculation:
- space-group type = Pmmm (47)
- total DFT energy (no corrections) (eV/atom) = -5.80
- DFT formation energy (kJ per mole of atoms) = -26.0

---

No. 7
Computed, not measured: AcTmNi after structural relaxation at the PBE level of DFT.

abc: 3.561 3.561 12.777
angles: 90.00 90.00 90.00
Sites, in units of the cell vectors:
Ac 0.000 0.000 0.000
Ac 0.500 0.500 0.500
Tm 0.000 0.000 0.263
Tm 0.500 0.500 0.763
Ni 0.000 0.000 0.658
Ni 0.500 0.500 0.158

Values from the calculation:
- space-group type = I4mm (107)
- total DFT energy (no corrections) (eV/atom) = -4.93